Full Share: Zucchini, yellow squash, Salad mix, Slicing Tomatoes, Sungolds, Cucumber, Sweet Corn, Shishito Peppers, Poblano Peppers, Brussel Sprouts, Red Onion, and Garlic
Partial share: Zucchini, Sungold Tomatoes, Cucumber, Sweet Corn, Shishito Peppers, Red Onion, Slicing Tomato, Brussel Sprouts.
Hello CSA members!
The past week, I feel like nature was sending me all sorts of signs to let me know Fall was quickly approaching. The aphids showed up early, the yellow jackets have been down right ornery, and there were geese flying overhead in formation on Saturday on our way to market. But before I could share “my” discovery, nature let the cat out of the bag. Anyone who walked outside today could clearly feel for themselves that summer has shifted to Fall. So much so, that tonight is predicted to be our first frost of the season. Yep, late August….it’s amazing how fast the summer goes by some years. We’ve taken the precautions of covering sensitive crops, and setting up irrigation to save the corn, albeit I’m not looking forward to the 3am trip down to the river to turn on the pump.
### Records of crystals, as found in the file
(one)
A plane-wave DFT calculation with PBE+U was carried out for LiV2O4 after structural relaxation.

a = 5.2824 Å, b = 10.5522 Å, c = 10.1104 Å
α = 16.63°, β = 28.08°, γ = 32.29°
Sites, in units of the cell vectors:
Li1 0.5000 0.5000 0.5000
V1 0.0000 0.5000 0.0000
V2 0.0000 0.0000 0.0000
O1 0.2899 0.4999 0.2536
O2 0.7101 0.5001 0.7464
O3 0.2535 0.0000 0.2639
O4 0.7465 0.0000 0.7361

SG ... P2/m (10)

---

(two)
A plane-wave DFT calculation with PBE+U was carried out for LiV2O4 after structural relaxation.

a = 5.9823 Å, b = 5.9710 Å, c = 6.0054 Å
α = 59.70°, β = 59.65°, γ = 60.83°
Sites, in units of the cell vectors:
Li1 0.8747 0.8743 0.8750
Li2 0.1253 0.1257 0.1250
V1 0.5000 0.0000 0.5000
V2 0.0000 0.5000 0.5000
V3 0.5000 0.5000 0.0000
V4 0.5000 0.5000 0.5000
O1 0.2712 0.2714 0.2479
O2 0.2714 0.2695 0.7088
O3 0.7288 0.7286 0.7521
O4 0.7286 0.7305 0.2912
O5 0.2861 0.7256 0.7438
O6 0.2724 0.7136 0.2580
O7 0.7139 0.2744 0.2562
O8 0.7276 0.2864 0.7420

SG ... P-1 (2)

---

(three)
A plane-wave DFT calculation with PBE+U was carried out for LiV2O4 after structural relaxation.

a = 5.9253 Å, b = 5.9253 Å, c = 5.9253 Å
α = 60.00°, β = 60.00°, γ = 60.00°
Sites, in units of the cell vectors:
Li1 0.2500 0.2500 0.2500
Li2 0.0000 0.0000 0.0000
V1 0.6250 0.6250 0.6250
V2 0.1250 0.6250 0.6250
V3 0.6250 0.6250 0.1250
V4 0.6250 0.1250 0.6250
O1 0.8640 0.4079 0.8640
O2 0.8640 0.8640 0.4079
O3 0.3860 0.8421 0.3860
O4 0.3860 0.3860 0.8421
O5 0.8421 0.3860 0.3860
O6 0.8640 0.8640 0.8640
O7 0.4079 0.8640 0.8640
O8 0.3860 0.3860 0.3860

SG ... Fd-3m (227)

---

Taking the most stable structure as the zero point, the relative energies in eV/atom are (one) 0.081; (two) 0.000; (three) 0.026.

---

(one)
A plane-wave DFT calculation with PBE+U was carried out for Li2Mn3VO8 after structural relaxation.

a = 8.1750 Å, b = 8.5757 Å, c = 8.6201 Å
α = 90.00°, β = 90.00°, γ = 90.00°
Sites, in units of the cell vectors:
Li1 0.4978 0.9934 0.5025
Li2 0.7548 0.2481 0.7491
Li3 0.2452 0.7481 0.7509
Li4 0.5022 0.4934 0.9975
Li5 0.0022 0.0066 0.0025
Li6 0.7452 0.7519 0.2491
Li7 0.2548 0.2519 0.2509
Li8 0.9978 0.5066 0.4975
Mn1 0.6223 0.6251 0.6312
Mn2 0.8754 0.8680 0.6185
Mn3 0.1266 0.1213 0.6212
Mn4 0.8734 0.6213 0.8788
Mn5 0.1246 0.3680 0.8815
Mn6 0.3777 0.1251 0.8688
Mn7 0.8777 0.3749 0.1312
Mn8 0.6246 0.1320 0.1185
Mn9 0.3734 0.8787 0.1212
Mn10 0.6266 0.3787 0.3788
Mn11 0.3754 0.6320 0.3815
Mn12 0.1223 0.8749 0.3688
V1 0.3678 0.3787 0.6259
V2 0.6322 0.8787 0.8741
V3 0.1322 0.6213 0.1259
V4 0.8678 0.1213 0.3741
O1 0.6138 0.3964 0.6173
O2 0.3887 0.6085 0.6318
O3 0.1104 0.8712 0.5944
O4 0.6341 0.8532 0.6407
O5 0.8910 0.1063 0.6059
O6 0.8610 0.6360 0.6432
O7 0.1479 0.3742 0.6238
O8 0.3657 0.1387 0.6395
O9 0.6343 0.6387 0.8605
O10 0.8521 0.8742 0.8762
O11 0.1390 0.1360 0.8568
O12 0.1090 0.6063 0.8941
O13 0.3659 0.3532 0.8593
O14 0.8896 0.3712 0.9056
O15 0.6113 0.1085 0.8682
O16 0.3862 0.8964 0.8827
O17 0.8862 0.6036 0.1173
O18 0.1113 0.3915 0.1318
O19 0.3896 0.1288 0.0944
On the farm, we’re keeping our noses to the grindstone, knowing we have a few more big weeks before the work starts to taper a bit. Our days of planting, weeding, irrigating, and harvesting have given way to days of just harvesting. There is so much food that needs to come in for storage as well as the weekly CSA and markets, that at this time of year I begin to feel like a human forklift. Farming starts to feel less like the art of growing, and more like “materials handling”. My chiropractor would not approve.
One of the most exciting parts about this season has been how good the soil is starting to look and perform. For those of you who have been following us on our journey, you know that we moved to our current location 5 seasons ago, and things did not go as smoothly as hoped. Soil issues in certain areas affected our production, we were having to grow twice as much food as we needed just to account for losses and crop failures, and the process of figuring it all out was painful. But in the end, we decided to actually move our entire production field, fencing and all, to a new spot on the farm. And this is the first season where I think we can definitely say that it was the right decision. Yields are up, crop failures are down, and crop quality has been good.. The most exciting part so far is that all of the carrot plantings look great….dare I say on par with our Ten Lakes Farm days. And that’s big. There are only a few times that Rebecca and I have really disagreed about things, which is surprising given we’re not only married, but also business partners who spend all day together. And if you don’t know Rebecca, you don’t know that she can be quite stubborn at times. But there are only two decisions that I really regret giving in on over the years. OK, make that three. The first one is putting dark floors in the farm house, given we have two dogs and light colored soil. The second is giving out sweet corn to our CSA our very first year, after it had frozen in an early frost. And the third is harvesting and selling the sub-par storage carrots at the end of last season. Even though we told folks they were sub-par, I should have just tilled them in to the soil and called it good. It’s a tough call, when you put a lot of work into a crop, and people are expecting it, to not have it turn out as one would like. So, this year is a bit of a redemption. There should be plenty of delicious carrots for the end of season “Stock-Up Sale” (October 4th this year, in case you want to mark in on the calendar)
With this change in weather, the farm is about to undergo a major transition. While there are lots of fall crops ready, we wanted to phase them in while recognizing that some summer crops may go away with the cold. So, we are holding off on potatoes, in order to get you the last of the shishito and poblano peppers. And lots of tomatoes, as they will start to slow down with the cold as well. That said, the aphid pressure that took out our Brussel sprouts last season is yet again a concern, so we’re going to start harvesting them this week to hopefully stay ahead of the issue. Oh, and the garlic is finally cured and ready to go!
**Between two parts of the entry: calculated crystals:**
____________
1.
Computed, not measured: a relaxed structure of Ba3Ti20O40 at the PBE level of DFT.

Output
SG ... C2/m (12)

Unit cell a=10.342 b=10.342 c=10.135 alpha=61.29 beta=61.29 gamma=92.27
Atoms (fractional coordinates):
Ba (0.366, 0.634, 0.000)
Ba (0.634, 0.366, 0.000)
Ba (0.000, 0.000, 0.000)
Ti (0.263, 0.066, 0.183)
Ti (0.066, 0.263, 0.183)
Ti (0.153, 0.153, 0.509)
Ti (0.655, 0.058, 0.469)
Ti (0.058, 0.655, 0.469)
Ti (0.659, 0.659, 0.182)
Ti (0.449, 0.252, 0.483)
Ti (0.252, 0.449, 0.483)
Ti (0.873, 0.471, 0.181)
Ti (0.471, 0.873, 0.181)
Ti (0.529, 0.127, 0.819)
Ti (0.127, 0.529, 0.819)
Ti (0.748, 0.551, 0.517)
Ti (0.551, 0.748, 0.517)
Ti (0.341, 0.341, 0.818)
Ti (0.942, 0.345, 0.531)
Ti (0.345, 0.942, 0.531)
Ti (0.847, 0.847, 0.491)
Ti (0.934, 0.737, 0.817)
Ti (0.737, 0.934, 0.817)
O (0.038, 0.038, 0.282)
O (0.097, 0.498, 0.051)
O (0.498, 0.097, 0.051)
O (0.302, 0.302, 0.051)
O (0.058, 0.260, 0.381)
O (0.260, 0.058, 0.381)
O (0.345, 0.345, 0.348)
O (0.541, 0.141, 0.356)
O (0.141, 0.541, 0.356)
O (0.061, 0.257, 0.643)
O (0.257, 0.061, 0.643)
O (0.439, 0.643, 0.280)
O (0.643, 0.439, 0.280)
O (0.841, 0.243, 0.285)
O (0.243, 0.841, 0.285)
O (0.894, 0.698, 0.052)
O (0.698, 0.894, 0.052)
O (0.143, 0.544, 0.615)
O (0.544, 0.143, 0.615)
O (0.343, 0.343, 0.621)
O (0.657, 0.657, 0.379)
O (0.456, 0.857, 0.385)
O (0.857, 0.456, 0.385)
O (0.302, 0.106, 0.948)
O (0.106, 0.302, 0.948)
O (0.757, 0.159, 0.715)
O (0.159, 0.757, 0.715)
O (0.561, 0.357, 0.720)
O (0.357, 0.561, 0.720)
O (0.743, 0.939, 0.357)
O (0.939, 0.743, 0.357)
O (0.859, 0.459, 0.644)
O (0.459, 0.859, 0.644)
O (0.655, 0.655, 0.652)
O (0.740, 0.942, 0.619)
O (0.942, 0.740, 0.619)
O (0.698, 0.698, 0.949)
O (0.502, 0.903, 0.949)
O (0.903, 0.502, 0.949)
O (0.962, 0.962, 0.718)

2.
Computed, not measured: a relaxed structure of Ba4Ti3O10 at the PBE level of DFT.

Output
SG ... Fmm2 (42)
E above lowest polymorph ... 0 kJ/mol of formula units

Unit cell a=14.973 b=14.970 c=4.096 alpha=82.17 beta=82.10 gamma=15.73
Atoms (fractional coordinates):
Ba (0.925, 0.940, 0.060)
Ba (0.793, 0.804, 0.196)
Ba (0.060, 0.075, 0.925)
Ba (0.196, 0.207, 0.793)
Ti (0.476, 0.524, 0.476)
Ti (0.615, 0.660, 0.340)
Ti (0.340, 0.385, 0.615)
O (0.306, 0.287, 0.713)
O (0.577, 0.559, 0.441)
O (0.505, 0.495, 0.022)
O (0.022, 0.978, 0.505)
O (0.639, 0.635, 0.882)
O (0.156, 0.118, 0.365)
O (0.365, 0.361, 0.156)
O (0.882, 0.844, 0.639)
O (0.713, 0.694, 0.306)
O (0.441, 0.423, 0.577)

3.
Computed, not measured: a relaxed structure of Ba2Ti6O13 at the PBE level of DFT.

Output
SG ... C2/m (12)

Unit cell a=7.817 b=7.817 c=9.186 alpha=82.16 beta=82.16 gamma=29.55
Atoms (fractional coordinates):
Ba (0.051, 0.051, 0.221)
Ba (0.949, 0.949, 0.779)
Ti (0.669, 0.669, 0.556)
Ti (0.331, 0.331, 0.444)
Ti (0.252, 0.252, 0.777)
Ti (0.748, 0.748, 0.223)
Ti (0.622, 0.622, 0.901)
Ti (0.378, 0.378, 0.099)
O (0.500, 0.500, 0.000)
O (0.428, 0.428, 0.303)
O (0.572, 0.572, 0.697)
O (0.369, 0.369, 0.621)
O (0.631, 0.631, 0.379)
O (0.327, 0.327, 0.919)
____________
As for recipes this week, I’m thinking the Brussel Sprouts may pose the biggest challenge? They are good simply roasted, or sautéed with bacon. Some folks use a balsamic or maple syrup glaze when roasting. How about roasted with garlic? Or maybe one of these supposedly life changing recipes will suit your fancy?
See you at CSA pickup!
Todd and the Two Bear Farm crew.
Are the little peppers hot?
(Next to the entry, the page also holds materials data)
'''
1.
Density functional theory data (r2SCAN) for crystalline YCo12B6 at its relaxed geometry. Values from VASP.

Cell and atoms, written as Quantum ESPRESSO input:
```
&SYSTEM
  ibrav = 0, nat = 19, ntyp = 3
/
ATOMIC_SPECIES
Y 88.91 Y.upf
Co 58.93 Co.upf
B 10.81 B.upf
CELL_PARAMETERS angstrom
4.673 2.698 2.452
-4.673 2.698 2.452
0.000 -5.395 2.452
ATOMIC_POSITIONS crystal
Y 0.000 0.000 0.000
Co 0.133 0.500 0.867
Co 0.133 0.867 0.500
Co 0.186 0.458 0.458
Co 0.458 0.186 0.458
Co 0.458 0.458 0.186
Co 0.500 0.133 0.867
Co 0.500 0.867 0.133
Co 0.542 0.542 0.814
Co 0.542 0.814 0.542
Co 0.814 0.542 0.542
Co 0.867 0.133 0.500
Co 0.867 0.500 0.133
B 0.231 0.231 0.678
B 0.231 0.678 0.231
B 0.322 0.769 0.769
B 0.678 0.231 0.231
B 0.769 0.322 0.769
B 0.769 0.769 0.322
```

Results
total magnetization = 9.27 Bohr magnetons per cell
calculated volume = 185.43 Å³/cell
energy of formation = -255 meV/atom
total DFT energy (no corrections) = -12.0024 eV/atom
space-group type = No. 166
calculated density = 7710 kg/m3

=====

2.
Density functional theory data (r2SCAN) for crystalline BaCo2N2 at its relaxed geometry. Values from VASP.

Cell and atoms, written as Quantum ESPRESSO input:
```
&SYSTEM
  ibrav = 0, nat = 10, ntyp = 3
/
ATOMIC_SPECIES
Ba 137.33 Ba.upf
Co 58.93 Co.upf
N 14.01 N.upf
CELL_PARAMETERS angstrom
-3.019 3.019 4.536
3.019 -3.019 4.536
3.019 3.019 -4.536
ATOMIC_POSITIONS crystal
Ba 0.250 0.250 0.000
Ba 0.750 0.750 0.000
Co 0.132 0.632 0.764
Co 0.368 0.132 0.500
Co 0.632 0.868 0.500
Co 0.868 0.368 0.236
N 0.164 0.336 0.500
N 0.336 0.836 0.172
N 0.664 0.164 0.828
N 0.836 0.664 0.500
```

Results
total magnetization = 0.00 Bohr magnetons per cell
calculated volume = 165.36 Å³/cell
energy of formation = -366 meV/atom
total DFT energy (no corrections) = -14.6106 eV/atom
space-group type = No. 140
calculated density = 5688 kg/m3

=====

3.
Density functional theory data (r2SCAN) for crystalline SmSnPt at its relaxed geometry. Values from VASP.

Cell and atoms, written as Quantum ESPRESSO input:
```
&SYSTEM
  ibrav = 0, nat = 12, ntyp = 3
/
ATOMIC_SPECIES
Sm 150.36 Sm.upf
Sn 118.71 Sn.upf
Pt 195.08 Pt.upf
CELL_PARAMETERS angstrom
7.359 0.000 0.000
0.000 4.600 0.000
0.000 0.000 8.025
ATOMIC_POSITIONS crystal
Sm 0.012 0.250 0.196
Sm 0.488 0.750 0.696
Sm 0.512 0.250 0.304
Sm 0.988 0.750 0.804
Sn 0.178 0.250 0.584
Sn 0.322 0.750 0.084
Sn 0.678 0.250 0.916
Sn 0.822 0.750 0.416
Pt 0.213 0.750 0.410
Pt 0.287 0.250 0.910
Pt 0.713 0.750 0.090
Pt 0.787 0.250 0.590
```

Results
total magnetization = 0.00 Bohr magnetons per cell
calculated volume = 271.67 Å³/cell
energy of formation = -1166 meV/atom
total DFT energy (no corrections) = -36.4883 eV/atom
space-group type = No. 62
calculated density = 11348 kg/m3

=====

4.
Density functional theory data (r2SCAN) for crystalline Ti3Rh5 at its relaxed geometry. Values from VASP.

Cell and atoms, written as Quantum ESPRESSO input:
```
&SYSTEM
  ibrav = 0, nat = 16, ntyp = 2
/
ATOMIC_SPECIES
Ti 47.87 Ti.upf
Rh 102.91 Rh.upf
'''
(Back to the entry)
Brussel sprouts: cut in half, grill, add basalmic vinegar, maple syrup, evoo and cashews. So good!
There is also a recipe on Pinterest with brussel sprouts, sweet potatoes and craisins. That is also very good.
The shashito peppers are a bit more nippy than a sweet bell pepper, but no more than medium heat, imho. I love them cooked whole in a hot wok with a little peanut or sesame oil- tossed until they are bright colored with a few char marks and then sprinkled generously with course sea salt. Pull the stem off as you pop them whole into your mouth immediately- soooo gooood!